Willy's blog

Domain driven design at Europython 2021

Today I participated of the training transcend the realms of development at europython 2021, and I'm quite happy with the result. Sometimes I'm hesitant of workshops because I don't manage to extract value, but I really did from this one, and the hosts were great. I've been questioning myself on how to make better representations of software, specially among multiple developers and stakeholders, how to share a common language?


Let's start by my final conclusions:

My models on how to design software collaboratively are outdated; mostly UML and random diagrams, no clear design process. There are new techniques used nowadays, so I will asses them and try to integrate into my tool-belt.

(Misplaced calculated crystals)
/*
# 1
This entry pairs a crystal structure of AsPRhAu2 with its computed X-ray diffraction stick pattern. Radiation: copper Kα. Structure: a cell relaxed with GGA-PBE.
Neutral-atom scattering factors, no anomalous dispersion.

Cell and atoms:
```
data_AsPRhAu2
_cell_length_a 3.951
_cell_length_b 4.034
_cell_length_c 6.259
_cell_angle_alpha 84.24
_cell_angle_beta 88.32
_cell_angle_gamma 71.38
_space_group_name_H-M_alt 'P 1'
_space_group_IT_number 1
loop_
_space_group_symop_operation_xyz
'x,y,z'
loop_
_atom_site_label
_atom_site_type_symbol
_atom_site_fract_x
_atom_site_fract_y
_atom_site_fract_z
As1 As 0.000 0.000 0.000
P1 P 0.460 0.576 0.410
Rh1 Rh 0.468 0.097 0.226
Au1 Au 0.384 0.467 0.808
Au2 Au 0.961 0.080 0.556
```

Largest 8 diffraction maxima, most intense first, 2θ from 10° to 90°:
30.1 deg, I 100, (1 1 1)
37.6 deg, I 94, (1 0 2)
27.6 deg, I 87, (1 1 0)
47.8 deg, I 79, (0 1 3)
37.5 deg, I 73, (1 0 -2)
48.7 deg, I 63, (2 0 0)
39.1 deg, I 58, (0 1 -2)
14.2 deg, I 57, (0 0 1)


# 2
This entry pairs a crystal structure of Tb2Pr2ErTm4 with its computed X-ray diffraction stick pattern. Radiation: copper Kα. Structure: a cell relaxed with GGA-PBE.
Neutral-atom scattering factors, no anomalous dispersion.

Cell and atoms:
```
data_Tb2Pr2ErTm4
_cell_length_a 18.606
_cell_length_b 3.588
_cell_length_c 9.532
_cell_angle_alpha 90.00
_cell_angle_beta 115.73
_cell_angle_gamma 90.00
_space_group_name_H-M_alt 'C 1 2/m 1'
_space_group_IT_number 12
loop_
_space_group_symop_operation_xyz
'x,y,z'
'-x,-y,-z'
'-x,y,-z'
'x,-y,z'
'x+1/2,y+1/2,z'
'-x+1/2,-y+1/2,-z'
'-x+1/2,y+1/2,-z'
'x+1/2,-y+1/2,z'
loop_
_atom_site_label
_atom_site_type_symbol
_atom_site_fract_x
_atom_site_fract_y
_atom_site_fract_z
Tb1 Tb 0.147 0.000 0.161
Pr1 Pr 0.165 0.500 0.501
Er1 Er 0.000 0.000 0.500
Tm1 Tm 0.020 0.500 0.835
Tm2 Tm 0.185 0.000 0.838
```

Largest 8 diffraction maxima, most intense first, 2θ from 10° to 90°:
32.0 deg, I 100, (3 1 -2)
33.7 deg, I 94, (3 1 1)
31.3 deg, I 52, (0 0 3)
61.0 deg, I 46, (0 2 3)
51.0 deg, I 40, (0 2 0)
29.0 deg, I 36, (6 0 -1)
58.3 deg, I 21, (3 1 4)
55.0 deg, I 20, (3 1 -5)


# 3
This entry pairs a crystal structure of Pr2YEr2Tm with its computed X-ray diffraction stick pattern. Radiation: copper Kα. Structure: a cell relaxed with GGA-PBE.
Neutral-atom scattering factors, no anomalous dispersion.

Cell and atoms:
```
data_Pr2YEr2Tm
_cell_length_a 5.648
_cell_length_b 9.820
_cell_length_c 7.038
_cell_angle_alpha 90.00
_cell_angle_beta 90.00
_cell_angle_gamma 90.00
_space_group_name_H-M_alt 'P m c 21'
_space_group_IT_number 26
loop_
_space_group_symop_operation_xyz
'x,y,z'
'-x,-y,z+1/2'
'-x,y,z'
'x,-y,z+1/2'
loop_
_atom_site_label
_atom_site_type_symbol
_atom_site_fract_x
_atom_site_fract_y
_atom_site_fract_z
Pr1 Pr 0.000 0.000 0.000
Pr2 Pr 0.500 0.175 0.250
Y1 Y 0.500 0.500 0.499
Er1 Er 0.000 0.334 0.249
Er2 Er 0.500 0.165 0.750
Tm1 Tm 0.000 0.340 0.749
```

Largest 8 diffraction maxima, most intense first, 2θ from 10° to 90°:
31.6 deg, I 100, (2 0 0)
*/


Next, you can find my notes, they may not be complete, I tried adding some images to make them more understandable.

Domain driven design

Normally architecture grows organically, but it can have unexpected consequences.

Someone pasted data records at this point
=====
This entry pairs a crystal structure of Er3Sn2 with its theoretical powder X-ray diffraction pattern. Radiation: Cu Kα, 1.54184 Å. Structure: a DFT-relaxed cell (GGA-PBE, Alexandria).
Intensities are scaled so that the largest is 100.

Most intense lines, 2θ from 10° to 80°, sorted by position:
Position (°2θ)	I_rel
26.82	42
27.48	58
29.88	75
31.15	35
31.27	100
31.51	53
32.19	54
34.09	44
34.42	75
35.05	40
37.48	50
41.33	73

Crystal structure
abc: 11.870 4.369 11.351
angles: 90.00 90.00 90.00
Space group Pnma (No. 62)
One atom of each set of equivalent atoms:
Er (0.053, 0.250, 0.131) [4 per cell]
Er (0.128, 0.750, 0.560) [4 per cell]
Er (0.226, 0.250, 0.792) [4 per cell]
Sn (0.011, 0.750, 0.317) [4 per cell]
Sn (0.189, 0.750, 0.994) [4 per cell]

=====

This entry pairs a crystal structure of Li4SmIn4 with its theoretical powder X-ray diffraction pattern. Radiation: Cu Kα, 1.54184 Å. Structure: a DFT-relaxed cell (GGA-PBE, Alexandria).
Intensities are scaled so that the largest is 100.

Most intense lines, 2θ from 10° to 80°, sorted by position:
Position (°2θ)	I_rel
16.68	18
17.90	30
26.92	23
29.77	100
30.55	37
33.07	36
36.25	14
39.54	34
44.62	50
56.79	22
58.65	14
67.15	17

Crystal structure
abc: 6.297 6.297 9.913
angles: 90.00 90.00 90.00
Space group P4_2/nmc (No. 137, origin choice 2)
One atom of each set of equivalent atoms:
Li (0.033, 0.250, 0.177) [8 per cell]
Sm (0.250, 0.750, 0.250) [2 per cell]
In (0.016, 0.250, 0.464) [8 per cell]

=====

This entry pairs a crystal structure of Nd6IrPb3 with its theoretical powder X-ray diffraction pattern. Radiation: Cu Kα, 1.54184 Å. Structure: a DFT-relaxed cell (GGA-PBE, Alexandria).
Intensities are scaled so that the largest is 100.

Most intense lines, 2θ from 10° to 80°, sorted by position:
Position (°2θ)	I_rel
28.69	28
28.98	42
29.31	38
29.90	38
30.49	33
31.08	80
31.99	48
32.87	100
33.29	25
33.74	27
34.38	23
46.14	32

Crystal structure
abc: 6.384 9.039 12.672
angles: 90.00 117.97 90.00
Space group P2_1/c (No. 14)
One atom of each set of equivalent atoms:
Nd (0.063, 0.156, 0.442) [4 per cell]
Nd (0.340, 0.695, 0.438) [4 per cell]
Nd (0.400, 0.046, 0.267) [4 per cell]
Ir (0.500, 0.000, 0.500) [2 per cell]
Pb (0.000, 0.000, 0.000) [2 per cell]
Pb (0.165, 0.117, 0.762) [4 per cell]

=====

This entry pairs a crystal structure of Yb6Zr with its theoretical powder X-ray diffraction pattern. Radiation: Cu Kα, 1.54184 Å. Structure: a DFT-relaxed cell (GGA-PBE, Alexandria).
Intensities are scaled so that the largest is 100.

Most intense lines, 2θ from 10° to 80°, sorted by position:
Position (°2θ)	I_rel
15.29	58
21.69	41
26.64	100
34.61	16
38.04	60
41.22	62
44.21	42
49.76	18
62.03	19
64.30	28
70.88	19
77.21	23

Crystal structure
abc: 8.195 8.195 8.195
angles: 90.00 90.00 90.00
Space group Im-3m (No. 229)
One atom of each set of equivalent atoms:
Yb (0.000, 0.250, 0.500) [12 per cell]
Zr (0.000, 0.000, 0.000) [2 per cell]

=====
=====

Domain driven design helps with:

  • Identify domains -> core domains and secondary domains
  • Quick feedback -> same language between stakeholders and developers
  • Loosely coupled domains


  1. Ritual dissent
  2. Event storming
  3. Defining domains
  4. Building future of our project using C4 models

Ritual dissent

Small groups iterating over features, then one person from each group makes a pitch of 1 min to one of the other groups and gathers feedback.

It goes like this:

  • Teammate goes to other group and pitches
  • Once done, the pitcher just listens to the feedback and takes notes, doesn't need to answer anything
  • Goes back to the team and keeps refining

The owner of a problem often has fixed ideas about both the problem and possible solutions. Ritual dissent, developed by Dave Snowden of Cognitive Edge, allows a group of people to discuss a problem whilst its ‘owner’ turns around and listens to the discussion without intervening.

Event storming

EventStorming is a flexible workshop format for collaborative exploration of complex business domains.

I was quite pleased of the way it went with event storming, because it's simple, easy to pick up technique, while being quite expressive.

At the end of the day, event storming should help find bounded contexts.

Check event storming glossary cheat sheet for more documentation.

Defining domains

Once you are done with the event storm, you can start identifying your domains, take a look at the next digram.

event storming context

Taken from a miro board over event storming

These are the usual steps to finding the domains:

  1. Collect Domain Events - discover them
  2. Refine Domain Events - placing them in sequence
  3. Track causes - modelling out the broader ecosystem
  4. Re-sorting & result - categorize the events and build Bounded Contexts

Messages between systems

We didn't get to this step.

Building the future of a project

We didn't get to this step, either, but it's about using C4 diagrams. There was also a recommendation to use diagrams as a code, like plantUML, which has support for C4 diagrams.

In theory, C4 are zoom-in diagrams, with a very small surface of components to be learnt, different to other approaches like UML, which have a massive scope.

C4 has 4 levels of abstraction:

  1. System Context diagram: allows you to step back and see the big picture
  2. Container diagram: shows the high-level shape of the software architecture and how responsibilities are distributed across it. It also shows the major technology choices and how the containers communicate with one another.
  3. Component diagram: decomposes each container further to identify the major structural building blocks and their interactions. shows how a container is made up of a number of "components", what each of those components are, their responsibilities and the technology/implementation details.
  4. Code: it is usually recommended to generate this automatically from the code, or do it only when really necessary.